-- Source --
- - -
Record 1
- - -

-- Activity --
What is needed: give back the whole of the rows further above with every line break kept.

-- Solution --
Record 1